Why does Steelers quarterback Ben Roethlisberger always look unshaven?

Even in his wedding photo. Is it just some aspect of the way his skin photographs, or is he really going around with a 5 o’clock shadow all the time.

I shave every day and I always look stubbly. Somewhere in between Big Ben and Hugh Laurie as House. Maybe I’m just not doing it properly…:confused:

Roethlisberger and Richard Nixon - how many degrees of separation?

Some guys have incredibly fast-growing facial hair.

Fred Flintstone!

Ben is just so manly his stubble cuts the razors.

I myself avoid this problem by shaving with sharpened diamond blades.

I’ve always wondered about guys with permanent beard stubble.

How do they do it? If they shave every other day then they’d sill occasionally be clean shaven. If they shave once a week then they’d have a heavier beard sometimes and other times stubble. Plus they’d still be clean shaven once a week.

(1)
Calculated X-ray powder pattern
Compound: Be4AlCu
Radiation: Cu Kα (weighted mean of Kα1 and Kα2)
Structure: DFT lattice parameters and positions (PBE)
Neutral-atom scattering factors, no anomalous dispersion.

Most intense lines, 2θ = 10–90°, sorted by position:
Position (°2θ)  d [Å]  intensity
25.20  3.534  100
29.18  3.061  24
41.74  2.164  91
49.38  1.846  85
51.73  1.767  8
60.50  1.530  8
66.59  1.404  18
68.56  1.369  7
76.19  1.249  28
81.75  1.178  24

Cell and atoms:
a b c (Å): 4.328 4.328 4.328
angles (deg): 60.00 60.00 60.00
Atoms (fractional coordinates):
1 Be 0.125 0.125 0.125
2 Be 0.125 0.125 0.625
3 Be 0.125 0.625 0.125
4 Be 0.625 0.125 0.125
5 Al 0.500 0.500 0.500
6 Cu 0.750 0.750 0.750

***

(2)
Calculated X-ray powder pattern
Compound: Be5Al4Fe2
Radiation: Cu Kα (weighted mean of Kα1 and Kα2)
Structure: DFT lattice parameters and positions (PBE)
Neutral-atom scattering factors, no anomalous dispersion.

Most intense lines, 2θ = 10–90°, sorted by position:
Position (°2θ)  d [Å]  intensity
23.54  3.780  100
27.85  3.204  47
29.42  3.036  16
41.20  2.191  33
41.47  2.177  64
45.88  1.978  36
46.82  1.940  40
48.00  1.896  46
48.34  1.883  18
49.62  1.837  32

Cell and atoms:
a b c (Å): 4.363 4.363 7.811
angles (deg): 102.56 102.56 60.28
Atoms (fractional coordinates):
1 Be 0.000 0.000 0.000
2 Be 0.000 0.500 0.000
3 Be 0.000 0.500 0.500
4 Be 0.500 0.000 0.000
5 Be 0.500 0.000 0.500
6 Al 0.083 0.083 0.695
7 Al 0.448 0.448 0.803
8 Al 0.552 0.552 0.197
9 Al 0.917 0.917 0.305
10 Fe 0.229 0.229 0.247
11 Fe 0.771 0.771 0.753

***

(3)
Calculated X-ray powder pattern
Compound: BeAlH5
Radiation: Cu Kα (weighted mean of Kα1 and Kα2)
Structure: DFT lattice parameters and positions (PBE)
Neutral-atom scattering factors, no anomalous dispersion.

Most intense lines, 2θ = 10–90°, sorted by position:
Position (°2θ)  d [Å]  intensity
14.16  6.254  100
18.60  4.770  10
27.91  3.196  51
28.55  3.127  23
31.34  2.854  38
31.52  2.838  39
40.21  2.243  16
40.33  2.236  10
40.50  2.227  15
44.50  2.036  14

Cell and atoms:
a b c (Å): 4.770 4.306 6.254
angles (deg): 90.00 90.59 90.00
Atoms (fractional coordinates):
1 Be 0.002 0.000 0.377
2 Be 0.998 0.500 0.623
3 Al 0.243 0.760 0.000
4 Al 0.757 0.260 0.000
5 H 0.001 0.510 0.098
6 H 0.110 0.236 0.515
7 H 0.240 0.591 0.748
8 H 0.247 0.932 0.251
9 H 0.499 0.010 0.913
10 H 0.501 0.510 0.087
11 H 0.753 0.432 0.749
12 H 0.760 0.091 0.252
13 H 0.890 0.736 0.485
14 H 0.999 0.010 0.902

***

(4)
Calculated X-ray powder pattern
Compound: BeAlH5
Radiation: Cu Kα (weighted mean of Kα1 and Kα2)
Structure: DFT lattice parameters and positions (PBE)
Neutral-atom scattering factors, no anomalous dispersion.

Most intense lines, 2θ = 10–90°, sorted by position:
Position (°2θ)  d [Å]  intensity
20.66  4.299  100
25.02  3.560  29
31.12  2.874  54
33.22  2.697  26
40.79  2.212  24
41.57  2.172  23
42.03  2.150  11
42.89  2.109  15
44.18  2.050  14
48.06  1.893  21

Cell and atoms:
a b c (Å): 4.663 4.663 6.307

Beats the heck out of me. I recall a few years ago the permanent beard stubble was the fad. But I don’t know how they did it.

## Data records that have nothing to do with the piece
=====
Diffraction record for PtSN4O4. The X-ray powder pattern is calculated, not measured: it uses DFT lattice parameters and positions (GGA-PBE) and Cu Kα (λ = 1.5418 Å).
Intensities are scaled so that the largest is 100.

Crystal structure
a b c (Å): 9.2481 9.2481 9.2481
angles (deg): 138.31 138.31 60.44
Atoms (fractional coordinates):
Pt 0.3750 0.6250 0.7500
Pt 0.6250 0.3750 0.2500
S 0.1250 0.8750 0.2500
S 0.8750 0.1250 0.7500
N 0.1743 0.4243 0.3486
N 0.1743 0.8257 0.7500
N 0.4243 0.1743 0.8486
N 0.4243 0.5757 0.2500
N 0.5757 0.4243 0.7500
N 0.5757 0.8257 0.1514
N 0.8257 0.1743 0.2500
N 0.8257 0.5757 0.6514
O 0.1161 0.1799 0.9362
O 0.1799 0.1161 0.4362
O 0.1799 0.7438 0.0638
O 0.2562 0.8201 0.4362
O 0.7438 0.1799 0.5638
O 0.8201 0.2562 0.9362
O 0.8201 0.8839 0.5638
O 0.8839 0.8201 0.0638

Peak list (10 most intense, 2θ = 10–90°, sorted by position)
Position (°2θ), d [Å], I (rel.)
14.6, 6.087, 34
21.5, 4.141, 14
22.1, 4.022, 100
22.2, 3.996, 35
27.1, 3.291, 17
31.1, 2.875, 14
34.8, 2.577, 16
35.3, 2.540, 16
39.0, 2.312, 17
45.0, 2.013, 34

=====

Diffraction record for La2Ag3Au4. The X-ray powder pattern is calculated, not measured: it uses DFT lattice parameters and positions (GGA-PBE) and Cu Kα (λ = 1.5418 Å).
Intensities are scaled so that the largest is 100.

Crystal structure
a b c (Å): 8.8377 7.9379 5.5350
angles (deg): 79.81 62.13 38.05
Atoms (fractional coordinates):
La 0.1448 0.1448 0.8552
La 0.8552 0.8552 0.1448
Ag 0.0000 0.0000 0.5000
Ag 0.5000 0.5000 0.0000
Ag 0.5000 0.5000 0.5000
Au 0.1673 0.4917 0.5083
Au 0.4917 0.1673 0.8327
Au 0.5083 0.8327 0.1673
Au 0.8327 0.5083 0.4917

Peak list (10 most intense, 2θ = 10–90°, sorted by position)
Position (°2θ), d [Å], I (rel.)
32.1, 2.788, 25
32.9, 2.721, 20
34.4, 2.610, 17
35.5, 2.530, 14
36.3, 2.477, 35
37.2, 2.416, 100
39.3, 2.291, 14
60.6, 1.527, 24
65.9, 1.418, 14
79.3, 1.208, 14

=====

Diffraction record for Ca2AcHg3. The X-ray powder pattern is calculated, not measured: it uses DFT lattice parameters and positions (GGA-PBE) and Cu Kα (λ = 1.5418 Å).
Intensities are scaled so that the largest is 100.

Crystal structure
a b c (Å): 3.9129 3.9129 11.4963
angles (deg): 90.00 90.00 90.00
Atoms (fractional coordinates):
Ca 0.0000 0.0000 0.1595
Ca 0.0000 0.0000 0.8405
Ac 0.0000 0.0000 0.5000
Hg 0.5000 0.5000 0.0000
Hg 0.5000 0.5000 0.3173
Hg 0.5000 0.5000 0.6827

Peak list (10 most intense, 2θ = 10–90°, sorted by position)
Position (°2θ), d [Å], I (rel.)
22.7, 3.913, 13
24.0, 3.704, 12
27.6, 3.235, 12
32.4, 2.767, 54
32.7, 2.738, 100
46.4, 1.956, 20
57.9, 1.592, 40
58.6, 1.575, 17
68.5, 1.369, 11
77.1, 1.237, 9

=====

Diffraction record for Ac3HoEr. The X-ray powder pattern is calculated, not measured: it uses DFT lattice parameters and positions (GGA-PBE) and Cu Kα (λ = 1.5418 Å).
Intensities are scaled so that the largest is 100.

Crystal structure
a b c (Å): 6.4882 9.3578 13.2401
angles (deg): 90.00 90.00 90.00
Atoms (fractional coordinates):
Ac 0.0892 0.1734 0.0739
Ac 0.0892 0.3266 0.4261
=====

I’ve seen celebrities with permanent stubble that somehow never got photographed clean shaven.

I had a scraggly long beard for five years. My mountain man look was pretty intimidating. Then as a state employee my beard was neatly, and closely trimmed for 15 years. I’ve been clean shaven for the past ten years. Never wanted the stubble look. That looks like you’re too lazy to shave.

_Someone pasted calculated crystals at this point_
┌──
(1)
Structure and theoretical PXRD pattern of Tb4Tm6Mg (a cell relaxed with PBE; CuKα).

Structure:
```
Tb4Tm6Mg
1.0
-3.218 3.218 8.413
3.218 -3.218 8.413
3.218 3.218 -8.413
Tb Tm Mg
4 6 1
Cartesian
2.088 2.088 -2.285
1.131 -1.131 10.698
1.131 1.131 6.128
-1.131 1.131 10.698
3.218 0.000 0.000
2.041 -2.041 5.603
1.178 1.178 2.810
0.000 3.218 0.000
-2.041 2.041 5.603
2.041 2.041 11.223
0.000 0.000 0.000
```

Largest 8 diffraction maxima, by intensity, 10 to 80 degrees two-theta:
Position (°2θ), d/Å, intensity
31.53, 2.837, 100
35.10, 2.557, 70
41.27, 2.188, 59
29.72, 3.006, 43
28.90, 3.089, 42
31.91, 2.804, 36
22.21, 4.003, 32
59.46, 1.555, 27


(2)
Structure and theoretical PXRD pattern of Tb3Tm2Mg8 (a cell relaxed with PBE; CuKα).

Structure:
```
Tb3Tm2Mg8
1.0
2.911 1.681 12.318
-2.911 1.681 12.318
0.000 -3.361 12.318
Tb Tm Mg
3 2 8
Cartesian
0.000 0.000 0.000
0.000 0.000 6.770
0.000 0.000 30.184
0.000 0.000 13.288
0.000 0.000 23.666
-1.458 -0.842 20.851
0.000 -1.684 16.103
-1.458 0.842 16.103
0.000 0.000 10.166
0.000 0.000 26.788
1.458 -0.842 20.851
0.000 1.684 20.851
1.458 0.842 16.103
```

Largest 8 diffraction maxima, by intensity, 10 to 80 degrees two-theta:
Position (°2θ), d/Å, intensity
32.01, 2.796, 100
30.72, 2.911, 91
34.07, 2.632, 78
21.33, 4.165, 73
14.38, 6.159, 55
55.44, 1.657, 42
37.70, 2.386, 27
44.96, 2.016, 24


(3)
Structure and theoretical PXRD pattern of TbTm6Mg (a cell relaxed with PBE; CuKα).

Structure:
```
TbTm6Mg
1.0
4.619 2.667 3.264
-4.619 2.667 3.264
0.000 -5.334 3.264
Tb Tm Mg
1 6 1
Cartesian
0.000 0.000 0.000
-2.403 0.153 2.700
1.069 -2.157 2.700
-1.334 -2.004 7.091
1.334 2.004 2.700
-1.069 2.157 7.091
2.403 -0.153 7.091
0.000 0.000 4.896
```

Largest 8 diffraction maxima, by intensity, 10 to 80 degrees two-theta:
Position (°2θ), d/Å, intensity
33.62, 2.666, 100
30.95, 2.889, 94
34.87, 2.573, 47
28.82, 3.098, 26
50.59, 1.804, 22
60.13, 1.539, 20
55.93, 1.644, 20
27.33, 3.264, 18


(4)
Structure and theoretical PXRD pattern of Tb5Tm4Mg2 (a cell relaxed with PBE; CuKα).

Structure:
```
Tb5Tm4Mg2
1.0
-1.708 4.383 11.427
1.708 -4.383 11.427
1.708 4.383 -11.427
Tb Tm Mg
5 4 2
Cartesian
0.000 0.000 0.000
1.708 1.748 -3.235
1.708 1.748 3.235
0.000 2.635 8.192
0.000 2.635 14.662
1.708 0.000 6.148
1.708 2.805 0.000
0.000 1.578 11.427
0.000 4.383 5.278
1.708 0.000 9.206
0.000 4.383 2.221
```

Largest 8 diffraction maxima, by intensity, 10 to 80 degrees two-theta:
Position (°2θ), d/Å, intensity
29.13, 3.065, 100
32.83, 2.728, 78
33.48, 2.676, 77
25.62, 3.478, 57
38.12, 2.360, 53
43.73, 2.070, 50
31.31, 2.857, 48
31.11, 2.875, 33


(5)
Structure and theoretical PXRD pattern of Tb6YMg2 (a cell relaxed with PBE; CuKα).

Structure:
```
Tb6YMg2
1.0
3.325 1.920 7.268
-3.325 1.920 7.268
0.000 -3.840 7.268
Tb Y Mg
6 1 2
Cartesian
-1.820 -0.640 7.268
-0.281 -1.903 11.117
-1.508 1.195 11.117
1.465 -1.256 7.268
0.356 1.897 7.268
1.789 0.708 11.117
0.000 0.000 17.167
0.000 0.000 1.298
0.000 0.000 20.208
```
└──

That’s easy, aceplace57. A fast-growing beard will show stubble within a matter of hours; before I surrendered and grew a beard*, I would have noticeable stubble by mid-afternoon when I shaved first thing in the morning.

So, to get effectively ‘always on’ stubble, just shave daily, right before bed. :slight_smile: Unless the paparazzi are sneaking into your bedroom, they’ll never manage to catch you totally clean-shaven.

*Diamonds are freaking expensive!

A lot of men maintain that look by shaving with a beard trimmer - it’s not as close a shave as a razor, so there’s always stubble, but it’s a much cleaner look than not trimming the hair at all for a few days.

ISTR at the height of the Don Johnson stubble fad they were selling comb-like attachments for ordinary electric shavers (Remington, et al) which held the cutters just far enough off the face to ensure a stubbly result.

I’m like SCSmmons. Stubble by nightfall every day. When I’m doing office work I always keep a razor & blades in my desk for a mid-day touchup before going to see the great grand-boss or meet customers. Mine was blond (now gray) so it wasn’t/isn’t as obvious as more swarthy sorts. But it was still a bit scruffy looking by day’s end.